

Hasler Out of Brown Game With Badly Cut Knee--Putnam and Crosby Also Haye Stitches Taken

A skillful passing attack and superior stickwork were elements that brought victory to the Harvard hockey team Friday night in the opener of the two-game series with Dartmouth. The Big Green players, however, despite their low rating, proved themselves Tartars and rushed into a 2 to 0 lead before the Crimson attack could get into high and eventually run down the 5 to 2 decision.

Although featured by casualties that occurred during, as well as before the game, the contest was a spectacular one, Harvard playing fast, well-planned hockey and Dartmouth, in contract, relying chiefly upon sheer strength and individual effort. As was to be expected, the Hanoverians laid special emphasis upon body checking and the strategy wan productive numerous spills and penalties. On one occasion, there were only two Dartmouth players on the ice in addition to the goal-tender, Hawkes. The latter, it might be added, more than did his share in defending the Big Green net, handing out numerous checks and other terms of bodily contact besides handling the flying puck.

Hasier injured

W. L. Hasler '34 will be lost to the team for the game with Brown which takes place at Providence on Wednesday. He received a deep cut in the knee. The other Harvard men who were injured, Putnam and Crosby are expected back in the lineup. So numerous were the defections in the Crimson squad that Coach Stubbs was forced to substitute players individually instead of sending in complete new forward lines as usual. The veterans Wood and Cunningham, for instance, would alternate in leading Pell and Saltonstall to the attack.

The major part of the puck carrying was done by Wood, Cunningham, and Putnam, but Baldwin was also an important cog in the offensive, scoring two of the goals and being credited with two assists. The latter possesses an accuracy of shot at crucial moments that is altogether too rare on the team at present.


Miss Many Chances

Harvard as well as Dartmouth missed several apparent scoring opportunities. Passing, indicative as it is of good play, was seemingly carried to an excess by the Crimson players who in handing the pack about in front of the visitors net, allowed the opposing defencemen to gather when it seemed as if a quick shot would have found a comparatively undefeated not. The Dartmouth skaters, on the other hand, had great difficulty in controlling the disc at all and were unable to capitalize when deGive, the Harvard netman, was drawn far out of position.

The summary: HARVARD  DARTMOUTH Baldwin, Crosby, l.w.  r.w., W. Morton, Manchester Wood, Putnam, c.  c. R. Morton, Walters Cummingham, Saltonstall, Pell, r.w.  r.d. Whitcomb, Arthur McGregor, Hasier, r.d.  l.d. Faeare, Arthur DeGive, g  g., Hawkes

First period Dartmouth, Crowther, (W. Morton), 2.57: Dartmouth, R. Morton (unassistd), 9.07: Harvard, Wood (Baldwin), 16.28.

Second period Harvard, Baldwin, (Wood), 11.36: Harvard, Wood (Baldwin) 17.00.

Third period Harvard, Martin, unassisted 9.47; Harvard Baldwin (Wood), 18.50.

Score-Harvard 5, Dartmouth 2.

Penalities Jackson (tripping), Manchester (interference), McGregor (board check), Saltonstall (tripping), Whitcomb (charging), Facgre (tripping), MeGregor (holding, McGroger (illegal check), Whitcomb (charging), Whitcomb (tripping).

• Calculated crystals that have nothing to do with the text:
Theoretical powder X-ray diffraction pattern of La5Cu for a wavelength of 1.5418 Å, from a DFT-relaxed cell (GGA-PBE, Alexandria).
Kinematic intensities with the Lorentz-polarization factor, no thermal factor.

The 6 most intense peaks (2θ from 5° to 70°), in order of rising 2θ:
Position (°2θ)	I_rel
30.17	43
30.41	81
31.25	100
33.00	93
47.33	21
58.47	32

Structural model:
abc: 6.609 6.609 8.889
angles: 110.13 110.13 32.89
Sites, in units of the cell vectors:
1 La 0.000 0.000 0.000
2 La 0.025 0.025 0.424
3 La 0.295 0.295 0.148
4 La 0.328 0.328 0.587
5 La 0.659 0.659 0.785
6 Cu 0.671 0.671 0.302

Theoretical powder X-ray diffraction pattern of SrInNi4P2 for a wavelength of 1.5418 Å, from a DFT-relaxed cell (GGA-PBE, Alexandria).
Kinematic intensities with the Lorentz-polarization factor, no thermal factor.

The 6 most intense peaks (2θ from 5° to 70°), in order of rising 2θ:
Position (°2θ)	I_rel
9.25	36
30.16	87
38.62	100
44.25	42
48.18	51
57.90	31

Structural model:
abc: 3.777 3.777 9.559
angles: 90.00 90.00 90.00
Sites, in units of the cell vectors:
1 Sr 0.000 0.000 0.000
2 In 0.000 0.000 0.500
3 Ni 0.000 0.500 0.300
4 Ni 0.000 0.500 0.700
5 Ni 0.500 0.000 0.300
6 Ni 0.500 0.000 0.700
7 P 0.500 0.500 0.187
8 P 0.500 0.500 0.813

Theoretical powder X-ray diffraction pattern of Nd3Sn5 for a wavelength of 1.5418 Å, from a DFT-relaxed cell (GGA-PBE, Alexandria).
Kinematic intensities with the Lorentz-polarization factor, no thermal factor.

The 6 most intense peaks (2θ from 5° to 70°), in order of rising 2θ:
Position (°2θ)	I_rel
32.16	100
35.15	17
38.34	33
52.99	24
65.47	27
67.28	13

Structural model:
abc: 10.739 10.739 10.739
angles: 154.75 154.75 36.01
Sites, in units of the cell vectors:
1 Nd 0.000 0.000 0.000
2 Nd 0.641 0.141 0.500
3 Nd 0.859 0.359 0.500
4 Sn 0.122 0.622 0.500
5 Sn 0.252 0.252 0.000
6 Sn 0.378 0.878 0.500
7 Sn 0.500 0.500 0.000
8 Sn 0.748 0.748 0.000

Theoretical powder X-ray diffraction pattern of Na3Ag5Sb2 for a wavelength of 1.5418 Å, from a DFT-relaxed cell (GGA-PBE, Alexandria).
Kinematic intensities with the Lorentz-polarization factor, no thermal factor.

The 6 most intense peaks (2θ from 5° to 70°), in order of rising 2θ:
Position (°2θ)	I_rel
16.26	56
20.42	100
35.60	54
36.69	44
37.94	66
42.86	43

Structural model:
abc: 9.957 9.957 9.957
angles: 113.63 77.29 145.01
Sites, in units of the cell vectors:
1 Na 0.161 0.722 0.884
2 Na 0.250 0.250 0.000
3 Na 0.339 0.222 0.561
4 Na 0.661 0.778 0.439
5 Na 0.750 0.750 0.000
6 Na 0.839 0.278 0.116
7 Ag 0.048 0.250 0.798
8 Ag 0.148 0.432 0.580
9 Ag 0.250 0.750 0.500
10 Ag 0.352 0.932 0.285
11 Ag 0.452 0.250 0.202
12 Ag 0.548 0.750 0.798
13 Ag 0.648 0.068 0.715
14 Ag 0.750 0.250 0.500
15 Ag 0.852 0.568 0.420
16 Ag 0.952 0.750 0.202
17 Sb 0.124 0.182 0.306
18 Sb 0.376 0.682 0.058
19 Sb 0.624 0.318 0.942
20 Sb 0.876 0.818 0.694

Theoretical powder X-ray diffraction pattern of CaPa2H8 for a wavelength of 1.5418 Å, from a DFT-relaxed cell (GGA-PBE, Alexandria).
• So much for the calculated crystals:

Referees-Cleary and Smith.

Time-Three 20m. periods.
